ADRIJOROUTES Projekt (Promicanje održivih rješenja za pomorski kulturni turizam) financiran je iz Programa prekogranične suradnje Interreg Italija – Hrvatska (2021.-2027.) te je usmjeren na potrebu ublažavanja ekoloških i društvenih utjecaja masovnih turističkih tokova u programskom području.
Opći cilj ADRIJOROUTES-a je potaknuti održivost, društvenu uključenost i digitalizaciju turističkog sektora jadranskog područja promicanjem održivih turističkih iskustava temeljenih na kulturnim dobrima 8 jadranskih luka. ADRIJOROUTES uključuje kulturne i turističke aktere programskog područja i šire kroz valorizaciju lučkih kulturnih dobara u smislu razvoja zelene i digitalne kulturne destinacije koja je u skladu s društvenom dobrobiti lokalnih zajednica. Uključene luke su Rijeka, Zadar, Split, Dubrovnik, Trst, Venecija, Ravenna, Ancona. Projekt ADRIJOROUTES usmjeren je na tri glavna skupa mjera za postizanje svojih ciljeva:
– Definiranje prekogranične strategije i akcijskog plana
– 7 zajednički razvijenih ¨ADRIJOUROUTES-a¨, sastavljenih od različitih iskustava, fizičkih i digitalnih od strane uključenih luka i područja
– Stvaranje prekograničnog ¨živog¨ muzeja
Projekt vodi Uprava luka srednjeg Jadrana, a ostali partneri su Lučka uprava sjevernog Jadrana (luke Venecija i Chioggia), Lučka uprava Ravenna, Uprava za mrežu luka istočnog Jadrana, Klaster intermodalnog prometa, Lučka uprava Dubrovnik, Lučka uprava Zadar, Javna ustanova RERA SD za koordinaciju i razvoj Splitsko-dalmatinske županije.
Ukupni proračun projekta iznosi 2.662.685,40 EUR (2.130.148,32 EUR ERDF), dok Lučka uprava Zadar ima proračun od 297.930,00 EUR (238.344,00 EUR ERDF).
ADRIJOROUTES (Promoting sustainable solutions for maritime cultural tourism) is a project funded by the Interreg Italy – Croatia cross-border cooperation Programme (2021-2027), focusing on the need to mitigate the environmental and social impacts of mass touristic flows in the programme area and to reduce the overwhelming dependence of the main Adriatic touristic destinations on massive coastal tourism, that put at risk the social and economic resilience of local communities.
ADRIJOROUTES overall objective is to boost the sustainability, social inclusiveness and digitalization of the touristic sector of the Adriatic area, by promoting sustainable touristic experiences based on cultural assets of at least 8 Adriatic ports. ADRIJOROUTES engages cultural and touristic actors of the programme area and beyond in the valorization of ports cultural assets as gateway for green and digital cultural destinations consistent with the social wellbeing of local communities. The involved ports are Rijeka, Zadar, Split, Dubrovnik, Trieste, Venice, Ravenna, Ancona. ADRIJOROUTES project focuses on three main sets of measures to achieve its objectives:
+++
Arrangement i

First-principles (PBE with a Hubbard U) data for an optimized crystal structure of Ba3MgNb2CoO9, as listed in Materials Project.

```
data_Ba3MgNb2CoO9
_cell_length_a 5.917
_cell_length_b 6.192
_cell_length_c 7.491
_cell_angle_alpha 84.97
_cell_angle_beta 89.94
_cell_angle_gamma 61.52
_symmetry_space_group_name_H-M 'P 1'
_symmetry_Int_Tables_number 1
_symmetry_space_group_name_Hall 'P 1'
loop_
_atom_site_label
_atom_site_type_symbol
_atom_site_fract_x
_atom_site_fract_y
_atom_site_fract_z
Ba1 Ba 0.000 0.000 0.000
Ba2 Ba 0.280 0.440 0.713
Ba3 Ba 0.577 0.845 0.423
Mg1 Mg 0.779 0.448 0.189
Nb1 Nb 0.288 0.429 0.199
Nb2 Nb 0.946 0.110 0.546
Co1 Co 0.615 0.773 0.859
O1 O 0.096 0.281 0.361
O2 O 0.116 0.771 0.372
O3 O 0.272 0.944 0.694
O4 O 0.429 0.149 0.060
O5 O 0.456 0.600 0.045
O6 O 0.627 0.281 0.360
O7 O 0.785 0.944 0.693
O8 O 0.801 0.400 0.677
O9 O 0.950 0.598 0.043
```


Arrangement ii

First-principles (PBE with a Hubbard U) data for an optimized crystal structure of Ba3MgNb2CoO9, as listed in Materials Project.

```
data_Ba3MgNb2CoO9
_cell_length_a 10.544
_cell_length_b 5.970
_cell_length_c 7.576
_cell_angle_alpha 90.00
_cell_angle_beta 97.75
_cell_angle_gamma 90.00
_symmetry_space_group_name_H-M 'C 1 m 1'
_symmetry_Int_Tables_number 8
_symmetry_space_group_name_Hall 'C -2y'
loop_
_atom_site_label
_atom_site_type_symbol
_atom_site_fract_x
_atom_site_fract_y
_atom_site_fract_z
Ba1 Ba 0.000 0.000 0.000
Ba2 Ba 0.122 0.500 0.716
Ba3 Ba 0.364 0.000 0.317
Mg1 Mg 0.068 0.000 0.452
Nb1 Nb 0.186 0.500 0.183
Nb2 Nb 0.317 0.000 0.851
Co1 Co 0.363 0.500 0.566
O1 O 0.005 0.500 0.029
O2 O 0.130 0.262 0.339
O3 O 0.150 0.000 0.703
O4 O 0.250 0.250 0.016
O5 O 0.376 0.500 0.311
O6 O 0.392 0.235 0.709
```


Q: Which of them is the least stable? A: arrangement i.


Arrangement i

First-principles (PBE with a Hubbard U) data for an optimized crystal structure of MgMn4H2O8, as listed in Materials Project.

```
data_MgMn4H2O8
_cell_length_a 5.142
_cell_length_b 3.044
_cell_length_c 9.930
_cell_angle_alpha 90.00
_cell_angle_beta 90.99
_cell_angle_gamma 90.00
_symmetry_space_group_name_H-M 'P 1 m 1'
_symmetry_Int_Tables_number 6
_symmetry_space_group_name_Hall 'P -2y'
loop_
_atom_site_label
_atom_site_type_symbol
_atom_site_fract_x
_atom_site_fract_y
_atom_site_fract_z
Mg1 Mg 0.000 0.000 0.000
Mn1 Mn 0.057 0.000 0.276
Mn2 Mn 0.438 0.000 0.752
Mn3 Mn 0.515 0.500 0.059
Mn4 Mn 0.950 0.500 0.542
H1 H 0.012 0.500 0.804
H2 H 0.432 0.500 0.393
O1 O 0.118 0.000 0.637
O2 O 0.143 0.500 0.878
O3 O 0.243 0.500 0.379
O4 O 0.318 0.000 0.133
O5 O 0.623 0.500 0.683
O6 O 0.624 0.000 0.937
O7 O 0.818 0.000 0.424
O8 O 0.884 0.500 0.146
```


Arrangement ii

First-principles (PBE with a Hubbard U) data for an optimized crystal structure of MgMn4H2O8, as listed in Materials Project.

```
data_MgMn4H2O8
_cell_length_a 5.365
_cell_length_b 2.969
_cell_length_c 10.005
_cell_angle_alpha 90.00
_cell_angle_beta 90.33
_cell_angle_gamma 90.00
_symmetry_space_group_name_H-M 'P 1 m 1'
+++
– The co-definition of a cross-border strategy and action plan
– The 7 co-developed ADRIJOUROUTES, composed of different experiences, physical and digital, of the involved ports and territories
Between two parts of the piece: materials data =
- - -
Computed, not measured: a relaxed KVPHO6 crystal at the PBE+U level of DFT.

Cell lengths 6.812, 9.268, 17.338 Å; angles 90.00, 90.00, 90.00 degrees
Sites, in units of the cell vectors:
K 0.226 0.186 0.103
K 0.226 0.314 0.603
K 0.274 0.686 0.103
K 0.274 0.814 0.603
K 0.726 0.186 0.397
K 0.726 0.314 0.897
K 0.774 0.686 0.397
K 0.774 0.814 0.897
V 0.023 0.553 0.760
V 0.023 0.947 0.260
V 0.477 0.053 0.760
V 0.477 0.447 0.260
V 0.523 0.553 0.740
V 0.523 0.947 0.240
V 0.977 0.053 0.740
V 0.977 0.447 0.240
P 0.196 0.110 0.905
P 0.196 0.390 0.405
P 0.304 0.610 0.905
P 0.304 0.890 0.405
P 0.696 0.110 0.595
P 0.696 0.390 0.095
P 0.804 0.610 0.595
P 0.804 0.890 0.095
H 0.210 0.107 0.454
H 0.210 0.393 0.954
H 0.290 0.607 0.454
H 0.290 0.893 0.954
H 0.710 0.107 0.046
H 0.710 0.393 0.546
H 0.790 0.607 0.046
H 0.790 0.893 0.546
O 0.028 0.120 0.277
O 0.028 0.380 0.777
O 0.034 0.046 0.852
O 0.034 0.454 0.352
O 0.112 0.636 0.857
O 0.112 0.864 0.357
O 0.126 0.244 0.947
O 0.126 0.256 0.447
O 0.222 0.109 0.723
O 0.222 0.391 0.223
O 0.239 0.506 0.469
O 0.239 0.994 0.969
O 0.261 0.006 0.469
O 0.261 0.494 0.969
O 0.278 0.609 0.723
O 0.278 0.891 0.223
O 0.374 0.744 0.947
O 0.374 0.756 0.447
O 0.388 0.136 0.857
O 0.388 0.364 0.357
O 0.466 0.546 0.852
O 0.466 0.954 0.352
O 0.472 0.620 0.277
O 0.472 0.880 0.777
O 0.528 0.120 0.223
O 0.528 0.380 0.723
O 0.534 0.046 0.648
O 0.534 0.454 0.148
O 0.612 0.636 0.643
O 0.612 0.864 0.143
O 0.626 0.244 0.553
O 0.626 0.256 0.053
O 0.722 0.109 0.777
O 0.722 0.391 0.277
O 0.739 0.506 0.031
O 0.739 0.994 0.531
O 0.761 0.006 0.031
O 0.761 0.494 0.531
O 0.778 0.609 0.777
O 0.778 0.891 0.277
O 0.874 0.744 0.553
O 0.874 0.756 0.053
O 0.888 0.136 0.643
O 0.888 0.364 0.143
O 0.966 0.546 0.648
O 0.966 0.954 0.148
O 0.972 0.620 0.223
O 0.972 0.880 0.723

Properties
- DFT total energy (eV/cell) = -533.5

=====

[1]
# Na3Th10BeF45, optimized geometry, DFT PBE-GGA
data_Na3Th10BeF45
_chemical_formula_sum 'Na12 Th40 Be4 F180'
_space_group_name_H-M_alt 'P 42/n c m'
_space_group_IT_number 138
_cell_length_a 11.951
_cell_length_b 11.951
_cell_length_c 23.668
_cell_angle_alpha 90.00
_cell_angle_beta 90.00
_cell_angle_gamma 90.00
loop_
_space_group_symop_operation_xyz
'x,y,z'
'-x,-y,-z'
'-y+1/2,x,z+1/2'
'y+1/2,-x,-z+1/2'
'-x+1/2,-y+1/2,z'
'x+1/2,y+1/2,-z'
'y,-x+1/2,z+1/2'
'-y,x+1/2,-z+1/2'
'x+1/2,-y,-z+1/2'
'-x+1/2,y,z+1/2'
'-y,-x,-z'
'y,x,z'
'-x,y+1/2,-z+1/2'
'x,-y+1/2,z+1/2'
'y+1/2,x+1/2,-z'
'-y+1/2,-x+1/2,z'
loop_
_atom_site_label
_atom_site_fract_x
_atom_site_fract_y
_atom_site_fract_z
_atom_site_occupancy
Na1 0.085 0.085 0.199 1
Na2 0.250 0.250 0.446 1
Th1 0.016 0.742 0.952 1
Th2 0.019 0.745 0.647 1
Th3 0.106 0.106 0.700 1
Be1 0.250 0.750 0.250 1
F1 0.033 0.245 0.950 1
F2 0.047 0.047 0.794 1
F3 0.057 0.243 0.260 1
F4 0.059 0.059 0.599 1
F5 0.060 0.242 0.140 1
F6 0.080 0.586 0.193 1
F7 0.089 0.589 0.000 1
F8 0.093 0.605 0.394 1
F9 0.102 0.102 0.039 1
F10 0.116 0.116 0.366 1
F11 0.158 0.158 0.867 1
F12 0.160 0.660 0.500 1
F13 0.163 0.693 0.710 1
- - -
– Creation of the Cross Border living museum
The project is led by Central Adriatic Ports Authority and other partners are North Adriatic Sea Port Authority (Ports of Venice and Chioggia), Port of Ravenna Authority, Port Network Authority of the Eastern Adriatic Sea, Intermodal Transport Cluster, Dubrovnik Port Authority, Port of Zadar Authority, Public institution RERA SD for coordination and development of Split-Dalmatia county.
Overall project budget is EUR 2,662,685.40 (EUR 2,130,148.32 ERDF) while Port of Zadar Authority has a budget of EUR 297,930.00 (EUR 238,344.00 ERDF).